**Exercise**
It remains to set down the lines underneath from the one with "0.000 0.449" to the one with "OsRuAu3, computed" exactly.
**Material**
┌──
(1)
An optimized crystal structure of Ba2YMg3F12, computed with PBE.

Summary:
Volume ... 14.8 A^3/atom
E_tot ... -5.617 eV per atom

The structure in CIF format:
```
data_Ba2YMg3F12
_cell_length_a 7.3701
_cell_length_b 7.3701
_cell_length_c 17.0386
_cell_angle_alpha 90.00
_cell_angle_beta 90.00
_cell_angle_gamma 120.00
_space_group_name_H-M_alt 'R -3 m'
_space_group_IT_number 166
_space_group_name_Hall '-R 3 2"'
loop_
_atom_site_label
_atom_site_fract_x
_atom_site_fract_y
_atom_site_fract_z
Ba1 0.0000 0.0000 0.1114
Y1 0.0000 0.0000 0.5000
Mg1 0.0000 0.5000 0.0000
F1 0.0196 0.5098 0.8786
F2 0.0577 0.5288 0.3236
```



(2)
An optimized crystal structure of Pm3Cu3Ni, computed with PBE.

Summary:
Volume ... 21.5 A^3/atom
E_form ... -0.238 eV/atom
E_tot ... -4.856 eV per atom

The structure in CIF format:
```
data_Pm3Cu3Ni
_cell_length_a 3.822
_cell_length_b 4.318
_cell_length_c 18.271
_cell_angle_alpha 90.00
_cell_angle_beta 90.00
_cell_angle_gamma 90.00
_space_group_name_H-M_alt 'I m m 2'
_space_group_IT_number 44
loop_
_space_group_symop_operation_xyz
'x,y,z'
'-x,-y,z'
'-x,y,z'
'x,-y,z'
'x+1/2,y+1/2,z+1/2'
'-x+1/2,-y+1/2,z+1/2'
'-x+1/2,y+1/2,z+1/2'
'x+1/2,-y+1/2,z+1/2'
loop_
_atom_site_label
_atom_site_fract_x
_atom_site_fract_y
_atom_site_fract_z
Pm1 0.000 0.000 0.000
Pm2 0.000 0.000 0.362
Pm3 0.000 0.500 0.188
Cu1 0.000 0.000 0.547
Cu2 0.000 0.000 0.821
Cu3 0.000 0.500 0.620
Ni1 0.000 0.500 0.751
```



(3)
An optimized crystal structure of AcNdAu2, computed with PBE.

Summary:
Excess energy over the best structure of this formula in the dataset ... 0.0 meV/atom
Volume ... 28.7 A^3/atom
E_form ... -0.795 eV/atom
E_tot ... -4.653 eV per atom

The structure in CIF format:
```
data_AcNdAu2
_cell_length_a 4.879
_cell_length_b 4.068
_cell_length_c 11.577
_cell_angle_alpha 90.00
_cell_angle_beta 90.00
_cell_angle_gamma 90.00
_space_group_name_H-M_alt 'A m m 2'
_space_group_IT_number 38
loop_
_space_group_symop_operation_xyz
'x,y,z'
'-x,-y,z'
'-x,y,z'
'x,-y,z'
'x,y+1/2,z+1/2'
'-x,-y+1/2,z+1/2'
'-x,y+1/2,z+1/2'
'x,-y+1/2,z+1/2'
loop_
_atom_site_label
_atom_site_fract_x
_atom_site_fract_y
_atom_site_fract_z
Ac1 0.000 0.000 0.000
Nd1 0.500 0.000 0.727
Au1 0.000 0.000 0.276
Au2 0.500 0.000 0.449
```



(4)
An optimized crystal structure of PrSeBr, computed with PBE.

Summary:
Volume ... 38.2 A^3/atom
E_tot ... -5.125 eV per atom

The structure in CIF format:
```
data_PrSeBr
_cell_length_a 4.3935
_cell_length_b 4.3935
_cell_length_c 6.8479
_cell_angle_alpha 90.00
_cell_angle_beta 90.00
_cell_angle_gamma 120.00
_space_group_name_H-M_alt 'P 3 m 1'
_space_group_IT_number 156
loop_
_space_group_symop_operation_xyz
'x,y,z'
'-y,x-y,z'
'-x+y,-x,z'
'-y,-x,z'
'-x+y,y,z'
'x,x-y,z'
loop_
_atom_site_label
_atom_site_fract_x
_atom_site_fract_y
_atom_site_fract_z
Pr1 0.0000 0.0000 0.0000
Se1 0.6667 0.3333 0.2008
Br1 0.3333 0.6667 0.7366
```



(5)
An optimized crystal structure of OsRuAu3, computed with PBE.

Summary:
Excess energy over the best structure of this formula in the dataset ... 0.0 meV/atom
Volume ... 24.8 A^3/atom
E_form ... 1.858 eV/atom
E_tot ... -4.209 eV per atom

The structure in CIF format:
```
data_OsRuAu3
_cell_length_a 4.987
_cell_length_b 4.987
_cell_length_c 4.987
_cell_angle_alpha 90.00
_cell_angle_beta 90.00
_cell_angle_gamma 90.00
_space_group_name_H-M_alt 'P m -3 m'
_space_group_IT_number 221
_space_group_name_Hall '-P 4 2 3'
loop_
_atom_site_label
_atom_site_fract_x
_atom_site_fract_y
_atom_site_fract_z
Os1 0.000 0.000 0.000
Ru1 0.500 0.500 0.500
Au1 0.000 0.000 0.500
```



(6)
An optimized crystal structure of Y2ThCu6, computed with PBE.

Summary:
Volume ... 18.9 A^3/atom
E_form ... -0.233 eV/atom
E_tot ... -5.224 eV per atom

The structure in CIF format:
```
data_Y2ThCu6
_cell_length_a 7.3939
_cell_length_b 7.3939
_cell_length_c 3.5989
_cell_angle_alpha 90.00
_cell_angle_beta 90.00
_cell_angle_gamma 120.00
_space_group_name_H-M_alt 'P 6/m m m'
_space_group_IT_number 191
_space_group_name_Hall '-P 6 2'
loop_
└──
**Solution**
Au2 0.500 0.000 0.449
```



(4)
An optimized crystal structure of PrSeBr, computed with PBE.

Summary:
Volume ... 38.2 A^3/atom
E_tot ... -5.125 eV per atom

The structure in CIF format:
```
data_PrSeBr
_cell_length_a 4.3935
_cell_length_b 4.3935
_cell_length_c 6.8479
_cell_angle_alpha 90.00
_cell_angle_beta 90.00
_cell_angle_gamma 120.00
_space_group_name_H-M_alt 'P 3 m 1'
_space_group_IT_number 156
loop_
_space_group_symop_operation_xyz
'x,y,z'
'-y,x-y,z'
'-x+y,-x,z'
'-y,-x,z'
'-x+y,y,z'
'x,x-y,z'
loop_
_atom_site_label
_atom_site_fract_x
_atom_site_fract_y
_atom_site_fract_z
Pr1 0.0000 0.0000 0.0000
Se1 0.6667 0.3333 0.2008
Br1 0.3333 0.6667 0.7366
```



(5)
An optimized crystal structure of OsRuAu3, computed with PBE.